Data:
'''
Li3Cr4PO19: simulated XRD peak list (λ = 1.5418 Å (Cu Kα)), based on DFT lattice parameters and positions (PBE+U).

Largest 10 diffraction maxima, in order of rising 2θ, 2θ from 5° to 70°:
two_theta	d (Å)	I/Imax	h k l
14.96	5.923	33	1 1 -1
18.97	4.678	35	0 2 1
20.00	4.439	64	2 0 -1
23.67	3.758	45	1 3 0
24.57	3.624	36	2 2 -1
24.80	3.590	60	1 1 -2
24.95	3.569	100	2 2 0
25.14	3.543	53	1 3 -1
25.25	3.527	29	0 0 2
28.55	3.127	24	0 4 0

Structure:
```
data_Li3Cr4PO19
_cell_length_a 9.261
_cell_length_b 12.503
_cell_length_c 7.512
_cell_angle_alpha 90.00
_cell_angle_beta 110.12
_cell_angle_gamma 90.00
_symmetry_space_group_name_H-M 'C 1 m 1'
_symmetry_Int_Tables_number 8
loop_
_symmetry_equiv_pos_as_xyz
'x,y,z'
'x,-y,z'
'x+1/2,y+1/2,z'
'x+1/2,-y+1/2,z'
loop_
_atom_site_label
_atom_site_fract_x
_atom_site_fract_y
_atom_site_fract_z
Li1 0.000 0.000 0.000
Li2 0.374 0.255 0.603
Cr1 0.305 0.188 0.117
Cr2 0.425 0.500 0.448
Cr3 0.471 0.000 0.726
P1 0.066 0.500 0.157
O1 0.071 0.500 0.588
O2 0.107 0.500 0.974
O3 0.151 0.119 0.015
O4 0.181 0.290 0.683
O5 0.215 0.500 0.328
O6 0.304 0.233 0.319
O7 0.315 0.289 0.982
O8 0.365 0.107 0.695
O9 0.372 0.500 0.713
O10 0.476 0.102 0.166
O11 0.483 0.500 0.268
O12 0.493 0.391 0.572
```

----------

The following is a computed powder diffraction line list of Cs2ScTlI6. It was derived from a cell relaxed with GGA-PBE, using Cu Kα X-rays.
Kinematic intensities with the Lorentz-polarization factor, no thermal factor.

Main lines, low angle first (15° ≤ 2θ ≤ 90°):
2θ/deg  I (rel.)
19.98  22
23.47  14
24.53  72
28.40  100
31.01  19
40.60  72
48.01  29
50.28  24
66.53  29
73.86  20

Atomic structure:
```
Cs2ScTlI6
1.0
0.000 6.286 6.286
6.286 0.000 6.286
6.286 6.286 0.000
Cs Sc Tl I
2 1 1 6
direct
0.250 0.250 0.250 Cs
0.750 0.750 0.750 Cs
0.000 0.000 0.000 Sc
0.500 0.500 0.500 Tl
0.231 0.231 0.769 I
0.231 0.769 0.231 I
0.231 0.769 0.769 I
0.769 0.231 0.231 I
0.769 0.231 0.769 I
0.769 0.769 0.231 I
```

----------

This entry pairs a crystal structure of Pt with its computed X-ray powder pattern. Radiation: a wavelength of 1.5418 Å. Structure: a GGA-PBE-relaxed structure.
No peak broadening, texture or thermal motion is included.

Peak list (10 most intense, 10° ≤ 2θ ≤ 90°, sorted by position)
- 2θ = 37.9°, I 35.6
- 2θ = 38.7°, I 49.8
- 2θ = 41.7°, I 72.7
- 2θ = 42.8°, I 100.0
- 2θ = 55.3°, I 24.3
- 2θ = 66.9°, I 18.8
- 2θ = 72.1°, I 14.7
- 2θ = 72.8°, I 21.2
- 2θ = 80.0°, I 23.0
- 2θ = 84.2°, I 19.9

Atomic structure:
abc: 2.7132 4.9006 4.6536
angles: 90.00 90.00 90.00
Element x y z (fractional)
Pt 0.0000 0.1513 0.2500
Pt 0.0000 0.8487 0.7500
Pt 0.5000 0.3487 0.7500
Pt 0.5000 0.6513 0.2500

This entry pairs a crystal structure of Pt with its computed X-ray powder pattern. Radiation: a wavelength of 1.5418 Å. Structure: a GGA-PBE-relaxed structure.
No peak broadening, texture or thermal motion is included.

Peak list (5 most intense, 10° ≤ 2θ ≤ 90°, sorted by position)
- 2θ = 39.4°, I 100.0
- 2θ = 45.8°, I 49.2
- 2θ = 66.8°, I 32.4
- 2θ = 80.4°, I 39.1
- 2θ = 84.8°, I 11.6

Atomic structure:
abc: 3.9613 3.9613 3.9613
angles: 90.00 90.00 90.00
Element x y z (fractional)
Pt 0.0000 0.0000 0.0000
Pt 0.0000 0.5000 0.5000
Pt 0.5000 0.0000 0.5000
Pt 0.5000 0.5000 0.0000

This entry pairs a crystal structure of Pt with its computed X-ray powder pattern. Radiation: a wavelength of 1.5418 Å. Structure: a GGA-PBE-relaxed structure.
No peak broadening, texture or thermal motion is included.

Peak list (10 most intense, 10° ≤ 2θ ≤ 90°, sorted by position)
- 2θ = 38.8°, I 74.0
- 2θ = 40.0°, I 100.0
- 2θ = 44.5°, I 23.9
- 2θ = 46.5°, I 52.8
- 2θ = 66.3°, I 29.6
- 2θ = 67.8°, I 17.3
- 2θ = 79.8°, I 17.2
- 2θ = 81.0°, I 18.2
- 2θ = 81.8°, I 26.5
- 2θ = 84.8°, I 16.0

Atomic structure:
abc: 2.7630 2.7630 42.7347
angles: 90.00 90.00 90.00
Element x y z (fractional)
Pt 0.2500 0.2500 0.0236
Pt 0.2500 0.2500 0.1180
Pt 0.2500 0.2500 0.2126
Pt 0.2500 0.2500 0.3072
Pt 0.2500 0.2500 0.6465
Pt 0.2500 0.2500 0.7400
Pt 0.2500 0.2500 0.8347
'''

Request:
Print all of the calculation results above without altering anything.

Here it is:
Li3Cr4PO19: simulated XRD peak list (λ = 1.5418 Å (Cu Kα)), based on DFT lattice parameters and positions (PBE+U).

Largest 10 diffraction maxima, in order of rising 2θ, 2θ from 5° to 70°:
two_theta	d (Å)	I/Imax	h k l
14.96	5.923	33	1 1 -1
18.97	4.678	35	0 2 1
20.00	4.439	64	2 0 -1
23.67	3.758	45	1 3 0
24.57	3.624	36	2 2 -1
24.80	3.590	60	1 1 -2
24.95	3.569	100	2 2 0
25.14	3.543	53	1 3 -1
25.25	3.527	29	0 0 2
28.55	3.127	24	0 4 0

Structure:
```
data_Li3Cr4PO19
_cell_length_a 9.261
_cell_length_b 12.503
_cell_length_c 7.512
_cell_angle_alpha 90.00
_cell_angle_beta 110.12
_cell_angle_gamma 90.00
_symmetry_space_group_name_H-M 'C 1 m 1'
_symmetry_Int_Tables_number 8
loop_
_symmetry_equiv_pos_as_xyz
'x,y,z'
'x,-y,z'
'x+1/2,y+1/2,z'
'x+1/2,-y+1/2,z'
loop_
_atom_site_label
_atom_site_fract_x
_atom_site_fract_y
_atom_site_fract_z
Li1 0.000 0.000 0.000
Li2 0.374 0.255 0.603
Cr1 0.305 0.188 0.117
Cr2 0.425 0.500 0.448
Cr3 0.471 0.000 0.726
P1 0.066 0.500 0.157
O1 0.071 0.500 0.588
O2 0.107 0.500 0.974
O3 0.151 0.119 0.015
O4 0.181 0.290 0.683
O5 0.215 0.500 0.328
O6 0.304 0.233 0.319
O7 0.315 0.289 0.982
O8 0.365 0.107 0.695
O9 0.372 0.500 0.713
O10 0.476 0.102 0.166
O11 0.483 0.500 0.268
O12 0.493 0.391 0.572
```

----------

The following is a computed powder diffraction line list of Cs2ScTlI6. It was derived from a cell relaxed with GGA-PBE, using Cu Kα X-rays.
Kinematic intensities with the Lorentz-polarization factor, no thermal factor.

Main lines, low angle first (15° ≤ 2θ ≤ 90°):
2θ/deg  I (rel.)
19.98  22
23.47  14
24.53  72
28.40  100
31.01  19
40.60  72
48.01  29
50.28  24
66.53  29
73.86  20

Atomic structure:
```
Cs2ScTlI6
1.0
0.000 6.286 6.286
6.286 0.000 6.286
6.286 6.286 0.000
Cs Sc Tl I
2 1 1 6
direct
0.250 0.250 0.250 Cs
0.750 0.750 0.750 Cs
0.000 0.000 0.000 Sc
0.500 0.500 0.500 Tl
0.231 0.231 0.769 I
0.231 0.769 0.231 I
0.231 0.769 0.769 I
0.769 0.231 0.231 I
0.769 0.231 0.769 I
0.769 0.769 0.231 I
```

----------

This entry pairs a crystal structure of Pt with its computed X-ray powder pattern. Radiation: a wavelength of 1.5418 Å. Structure: a GGA-PBE-relaxed structure.
No peak broadening, texture or thermal motion is included.

Peak list (10 most intense, 10° ≤ 2θ ≤ 90°, sorted by position)
- 2θ = 37.9°, I 35.6
- 2θ = 38.7°, I 49.8
- 2θ = 41.7°, I 72.7
- 2θ = 42.8°, I 100.0
- 2θ = 55.3°, I 24.3
- 2θ = 66.9°, I 18.8
- 2θ = 72.1°, I 14.7
- 2θ = 72.8°, I 21.2
- 2θ = 80.0°, I 23.0
- 2θ = 84.2°, I 19.9

Atomic structure:
abc: 2.7132 4.9006 4.6536
angles: 90.00 90.00 90.00
Element x y z (fractional)
Pt 0.0000 0.1513 0.2500
Pt 0.0000 0.8487 0.7500
Pt 0.5000 0.3487 0.7500
Pt 0.5000 0.6513 0.2500

This entry pairs a crystal structure of Pt with its computed X-ray powder pattern. Radiation: a wavelength of 1.5418 Å. Structure: a GGA-PBE-relaxed structure.
No peak broadening, texture or thermal motion is included.

Peak list (5 most intense, 10° ≤ 2θ ≤ 90°, sorted by position)
- 2θ = 39.4°, I 100.0
- 2θ = 45.8°, I 49.2
- 2θ = 66.8°, I 32.4
- 2θ = 80.4°, I 39.1
- 2θ = 84.8°, I 11.6

Atomic structure:
abc: 3.9613 3.9613 3.9613
angles: 90.00 90.00 90.00
Element x y z (fractional)
Pt 0.0000 0.0000 0.0000
Pt 0.0000 0.5000 0.5000
Pt 0.5000 0.0000 0.5000
Pt 0.5000 0.5000 0.0000

This entry pairs a crystal structure of Pt with its computed X-ray powder pattern. Radiation: a wavelength of 1.5418 Å. Structure: a GGA-PBE-relaxed structure.
No peak broadening, texture or thermal motion is included.

Peak list (10 most intense, 10° ≤ 2θ ≤ 90°, sorted by position)
- 2θ = 38.8°, I 74.0
- 2θ = 40.0°, I 100.0
- 2θ = 44.5°, I 23.9
- 2θ = 46.5°, I 52.8
- 2θ = 66.3°, I 29.6
- 2θ = 67.8°, I 17.3
- 2θ = 79.8°, I 17.2
- 2θ = 81.0°, I 18.2
- 2θ = 81.8°, I 26.5
- 2θ = 84.8°, I 16.0

Atomic structure:
abc: 2.7630 2.7630 42.7347
angles: 90.00 90.00 90.00
Element x y z (fractional)
Pt 0.2500 0.2500 0.0236
Pt 0.2500 0.2500 0.1180
Pt 0.2500 0.2500 0.2126
Pt 0.2500 0.2500 0.3072
Pt 0.2500 0.2500 0.6465
Pt 0.2500 0.2500 0.7400
Pt 0.2500 0.2500 0.8347